Exercise:
Please work out how many lines further down have the word "by" in them; a number is enough.

File:
- - -
Starting from a cell relaxed with PBE+U, the X-ray powder pattern of AlVP2CNO9 was computed for a wavelength of 1.5418 Å.

Crystal structure
```
data_AlVP2CNO9
_cell_length_a 8.0040
_cell_length_b 8.3738
_cell_length_c 8.6470
_cell_angle_alpha 68.45
_cell_angle_beta 64.87
_cell_angle_gamma 85.00
_symmetry_space_group_name_H-M 'P -1'
_symmetry_Int_Tables_number 2
_symmetry_space_group_name_Hall '-P 1'
loop_
_atom_site_label
_atom_site_type_symbol
_atom_site_fract_x
_atom_site_fract_y
_atom_site_fract_z
_atom_site_occupancy
Al1 Al 0.0756 0.2647 0.4564 1
V1 V 0.4509 0.2589 0.8046 1
P1 P 0.2304 0.4942 0.5865 1
P2 P 0.2402 0.0241 0.2221 1
C1 C 0.3510 0.8794 0.7683 1
N1 N 0.2487 0.8922 0.6998 1
O1 O 0.0457 0.5765 0.6441 1
O2 O 0.0851 0.8787 0.3326 1
O3 O 0.2079 0.1606 0.3080 1
O4 O 0.2252 0.3653 0.4993 1
O5 O 0.2565 0.1069 0.0235 1
O6 O 0.2647 0.3991 0.7606 1
O7 O 0.3905 0.6361 0.4496 1
O8 O 0.4282 0.9479 0.2146 1
O9 O 0.4569 0.6566 0.1092 1
```

Principal peaks in the range 10° ≤ 2θ ≤ 90°, by angle:
| hkl | two_theta | I (rel.) |
| --- | --- | --- |
| 0 0 1 | 12.1 | 37 |
| 1 0 1 | 13.1 | 42 |
| 0 1 1 | 13.3 | 85 |
| 1 1 1 | 14.9 | 100 |
| 1 2 2 | 25.6 | 43 |
| 2 -1 1 | 26.3 | 78 |


This entry pairs a crystal structure of HoMoRu with its calculated powder diffractogram. Radiation: λ = 1.5418 Å (Cu Kα). Structure: a DFT-relaxed cell (PBE, Alexandria).
Intensities are scaled so that the largest is 100.

Largest 8 diffraction maxima, in order of rising 2θ, 5° ≤ 2θ ≤ 70°:
two_theta	I (rel.)
18.47	43
26.24	39
33.10	32
35.47	100
37.45	56
42.51	18
44.86	17
52.53	35

Cell and atoms:
a = 6.7928 Å, b = 6.7928 Å, c = 5.9559 Å
α = 90.00°, β = 90.00°, γ = 90.00°
Element x y z (fractional)
Ho 0.2450 0.2450 0.0000
Ho 0.2550 0.7450 0.2500
Ho 0.7450 0.2550 0.7500
Ho 0.7550 0.7550 0.5000
Mo 0.1991 0.8009 0.7500
Mo 0.3009 0.3009 0.5000
Mo 0.6991 0.6991 0.0000
Mo 0.8009 0.1991 0.2500
Ru 0.0475 0.0475 0.5000
Ru 0.4525 0.5475 0.7500
Ru 0.5475 0.4525 0.2500
Ru 0.9525 0.9525 0.0000

***

This entry pairs a crystal structure of Ho2Si4Mo3 with its calculated powder diffractogram. Radiation: λ = 1.5418 Å (Cu Kα). Structure: a DFT-relaxed cell (PBE, Alexandria).
Intensities are scaled so that the largest is 100.

Largest 8 diffraction maxima, in order of rising 2θ, 5° ≤ 2θ ≤ 70°:
two_theta	I (rel.)
30.49	36
34.49	38
34.96	39
37.31	100
37.58	99
38.07	33
41.68	49
42.28	66

Cell and atoms:
a = 6.8507 Å, b = 6.9112 Å, c = 6.7395 Å
α = 90.00°, β = 108.91°, γ = 90.00°
Element x y z (fractional)
Ho 0.1906 0.1700 0.0617
Ho 0.1906 0.3300 0.5617
Ho 0.8094 0.6700 0.4383
Ho 0.8094 0.8300 0.9383
Si 0.0897 0.5444 0.8673
Si 0.0897 0.9556 0.3673
Si 0.4957 0.6315 0.6283
Si 0.4957 0.8685 0.1283
Si 0.5043 0.1315 0.8717
Si 0.5043 0.3685 0.3717
Si 0.9103 0.0444 0.6327
Si 0.9103 0.4556 0.1327
Mo 0.2491 0.6626 0.2487
Mo 0.2491 0.8374 0.7487
Mo 0.5000 0.0000 0.5000
Mo 0.5000 0.5000 0.0000
Mo 0.7509 0.1626 0.2513
Mo 0.7509 0.3374 0.7513

***

This entry pairs a crystal structure of HoTcMo with its calculated powder diffractogram. Radiation: λ = 1.5418 Å (Cu Kα). Structure: a DFT-relaxed cell (PBE, Alexandria).
Intensities are scaled so that the largest is 100.

Largest 8 diffraction maxima, in order of rising 2θ, 5° ≤ 2θ ≤ 70°:
two_theta	I (rel.)
32.94	100
38.49	90
38.75	89
39.00	87
40.38	35
40.71	32
58.81	23
69.08	56

Cell and atoms:
a = 5.4387 Å, b = 5.4387 Å, c = 5.4387 Å
α = 119.97°, β = 119.17°, γ = 90.74°
Element x y z (fractional)
Ho 0.3769 0.1269 0.2500
Ho 0.6231 0.8731 0.7500
Tc 0.0000 0.5000 0.5000
Tc 0.5000 0.5000 0.0000
Mo 0.0000 0.0000 0.5000
Mo 0.0000 0.5000 0.0000

***

This entry pairs a crystal structure of PrHo2NbN4 with its calculated powder diffractogram. Radiation: λ = 1.5418 Å (Cu Kα). Structure: a DFT-relaxed cell (PBE, Alexandria).
Intensities are scaled so that the largest is 100.

Largest 8 diffraction maxima, in order of rising 2θ, 5° ≤ 2θ ≤ 70°:
two_theta	I (rel.)
26.64	35
29.55	48
29.79	46
30.93	100
35.30	26
37.65	71
42.45	26
51.60	21

Cell and atoms:
- - -

Reply:
1